What is needed: copy only the lines underneath with the word "Cs" in them.
/*
[1]
Material: ReCl3
Method: DFT, GGA-PBE
State: relaxed

Results
space group	No. 166

a b c (Å): 9.3936 9.3936 9.3936
angles (deg): 67.64 67.64 67.64
Sites, in units of the cell vectors:
Re (0.1209, 0.3553, 0.3553)
Re (0.3553, 0.1209, 0.3553)
Re (0.3553, 0.3553, 0.1209)
Re (0.6447, 0.6447, 0.8791)
Re (0.6447, 0.8791, 0.6447)
Re (0.8791, 0.6447, 0.6447)
Cl (0.0321, 0.7221, 0.7221)
Cl (0.1240, 0.1240, 0.5867)
Cl (0.1240, 0.5867, 0.1240)
Cl (0.1717, 0.4924, 0.4924)
Cl (0.2779, 0.2779, 0.9679)
Cl (0.2779, 0.9679, 0.2779)
Cl (0.4133, 0.8760, 0.8760)
Cl (0.4924, 0.1717, 0.4924)
Cl (0.4924, 0.4924, 0.1717)
Cl (0.5076, 0.5076, 0.8283)
Cl (0.5076, 0.8283, 0.5076)
Cl (0.5867, 0.1240, 0.1240)
Cl (0.7221, 0.0321, 0.7221)
Cl (0.7221, 0.7221, 0.0321)
Cl (0.8283, 0.5076, 0.5076)
Cl (0.8760, 0.4133, 0.8760)
Cl (0.8760, 0.8760, 0.4133)
Cl (0.9679, 0.2779, 0.2779)



[2]
Material: Cs3GaCl6
Method: DFT, GGA-PBE
State: relaxed

Results
space group	No. 225

a b c (Å): 8.0099 8.0099 8.0099
angles (deg): 60.00 60.00 60.00
Sites, in units of the cell vectors:
Cs (0.0000, 0.0000, 0.0000)
Cs (0.2500, 0.2500, 0.2500)
Cs (0.7500, 0.7500, 0.7500)
Ga (0.5000, 0.5000, 0.5000)
Cl (0.2879, 0.2879, 0.7121)
Cl (0.2879, 0.7121, 0.2879)
Cl (0.2879, 0.7121, 0.7121)
Cl (0.7121, 0.2879, 0.2879)
Cl (0.7121, 0.2879, 0.7121)
Cl (0.7121, 0.7121, 0.2879)



[3]
Material: EuCu4Pd
Method: DFT, GGA-PBE
State: relaxed

Results
space group	No. 187

a b c (Å): 5.1582 5.1582 4.2198
angles (deg): 90.00 90.00 120.00
Sites, in units of the cell vectors:
Eu (0.0000, 0.0000, 0.0000)
Cu (0.5041, 0.0081, 0.5000)
Cu (0.5041, 0.4959, 0.5000)
Cu (0.6667, 0.3333, 0.0000)
Cu (0.9919, 0.4959, 0.5000)
Pd (0.3333, 0.6667, 0.0000)



[4]
Material: Y3Pt
Method: DFT, GGA-PBE
State: relaxed

Results
space group	No. 62

a b c (Å): 7.0829 9.6501 6.5344
angles (deg): 90.00 90.00 90.00
Sites, in units of the cell vectors:
Y (0.0267, 0.2500, 0.1318)
Y (0.1797, 0.0618, 0.6803)
Y (0.1797, 0.4382, 0.6803)
Y (0.3203, 0.5618, 0.1803)
Y (0.3203, 0.9382, 0.1803)
Y (0.4733, 0.7500, 0.6318)
Y (0.5267, 0.2500, 0.3682)
Y (0.6797, 0.0618, 0.8197)
Y (0.6797, 0.4382, 0.8197)
Y (0.8203, 0.5618, 0.3197)
Y (0.8203, 0.9382, 0.3197)
Y (0.9733, 0.7500, 0.8682)
Pt (0.1112, 0.7500, 0.4511)
Pt (0.3888, 0.2500, 0.9511)
Pt (0.6112, 0.7500, 0.0489)
Pt (0.8888, 0.2500, 0.5489)



Calculated values (meV/atom) of ΔE_f for the records, taken in order: -1133.4; -1988.1; -250.9; -705.0.

----------

1.
An optimized crystal structure of Ca2Fe6Se9Cl4O27. Source: the Materials Project database, functional GGA+U.

## Properties
- energy relative to the elements (eV/atom) = -1.219
- crystal system = hexagonal
- E (eV per atom) = -5.2861

a = 12.3245 Å, b = 12.3245 Å, c = 12.9619 Å
α = 90.00°, β = 90.00°, γ = 120.00°
Space group P6_3/m (No. 176)
Unique sites:
Ca (0.3333, 0.6667, 0.1151)
Fe (0.0000, 0.5000, 0.0000)
Fe (0.1066, 0.4153, 0.7500)
Se (0.0310, 0.4446, 0.2500)
Se (0.1709, 0.8067, 0.5095)
Cl (0.0726, 0.7819, 0.2500)
Cl (0.3333, 0.6667, 0.7500)
O (0.0351, 0.5004, 0.6549)
O (0.0884, 0.4074, 0.0382)
O (0.1653, 0.6662, 0.0217)
O (0.1835, 0.5570, 0.2500)
O (0.1882, 0.8089, 0.6402)

2.
An optimized crystal structure of LiCo2S3O12. Source: the Materials Project database, functional GGA+U.

## Properties
- energy relative to the elements (eV/atom) = -1.763
- excess energy over the best structure of this formula in the dataset (meV/atom) = 26
- crystal system = trigonal
- E (eV per atom) = -6.0072

a = 8.6012 Å, b = 8.6012 Å, c = 21.1016 Å
α = 90.00°, β = 90.00°, γ = 120.00°
Space group R-3c (No. 167, hexagonal axes)
Unique sites:
Li (0.0000, 0.0000, 0.0000)
Co (0.0000, 0.0000, 0.1439)
S (0.0000, 0.2947, 0.2500)
O (0.0015, 0.2006, 0.3081)
O (0.0192, 0.1897, 0.9205)

3.
An optimized crystal structure of MgVSbO4. Source: the Materials Project database, functional GGA+U.

## Properties
- energy relative to the elements (eV/atom) = -1.986
- excess energy over the best structure of this formula in the dataset (meV/atom) = 93
*/
Cs (0.0000, 0.0000, 0.0000)
Cs (0.2500, 0.2500, 0.2500)
Cs (0.7500, 0.7500, 0.7500)